CDE Detailed Report
Subdomain Name: General Health History
CRF: welcome
Displaying 1 - 15 of 15
CDE ID | CDE Name | Variable Name | Definition | Short Description | Question Text | Permissible Values | Description | Data Type | Disease Specific Instructions | Disease Specific Reference | Population | Classification (e.g., Core) | Version Number | Version Date | CRF Name (CRF Module / Guidance) | Subdomain Name | Domain Name | Size | Input Restrictions | Min Value | Max Value | Measurement Type | External Id Loinc | External Id Snomed | External Id caDSR | External Id CDISC |
C00313 | Medical history condition SNOMED CT code | MedclHistCondSNOMEDCTCode | Systematized Nomenclature Of Medicine Clinical Terms (SNOMED CT) code for medical condition/disease reported by the participant/subject | Systematized Nomenclature Of Medicine Clinical Terms (SNOMED CT) code for medical condition/disease reported by the participant/subject | Medical history condition for SNOWMED CT code | Alphanumeric |
Recommend collection at least during initial medical treatment. This element is recommended for pediatric studies. |
SNOMED CT Codes ( | Adult;Pediatric | Core | 3.00 | 2013-07-25 08:54:08.2 | Significant Medical History | General Health History | Participant History and Family History | 255 |
Free-Form Entry |
C00328 | Prior traumatic injury type | PriorTraumInjryType | General location of traumatic injury, if evidence of prior traumatic injury | General location of traumatic injury, if evidence of prior traumatic injury | Prior traumatic injury type | Brain Injury;Spine Injury;Other Extracranial Injury | Brain Injury;Spine Injury;Other Extracranial Injury | Alphanumeric |
Choose all that apply. This element is recommended for pediatric studies. |
No references available | Adult;Pediatric | Supplemental | 3.00 | 2013-07-19 21:21:51.533 | Significant Medical History | General Health History | Participant History and Family History |
Multiple Pre-Defined Values Selected |
C00316 | Medical history condition end date and time | MedclHistCondEndDateTime | Date (and time, if applicable and known) for the end of an event in the participant's medical history | Date (and time, if applicable and known) for the end of an event in the participant's medical history | Medical history condition end date and time | Date or Date & Time |
Record the date/time according to the ISO 8601, the International Standard for the representation of dates and times ( The date/time should be recorded to the level of granularity known (e.g., year, year and month, complete date plus hours and minutes, etc.). |
No references available | Adult;Pediatric | Supplemental | 3.10 | 2024-02-29 15:42:44.0 | Significant Medical History | General Health History | Participant History and Family History |
Free-Form Entry |
3145557 | |||||||||
C18666 | Body system category other text | BodySysCatOTH | The free-text field related to 'Body system category', specifying other text. Category or grouping used in the comprehensive assessment of a participant/subject, which includes a subjective history taking component as well as an objective based structured | The free-text field related to 'Body system category', specifying other text. Category or grouping used in the comprehensive assessment of a participant/subject, which includes a subjective history taking component as well as an objective based structured | Other, specify | Alphanumeric |
Choose one. Response is obtained by report of the participant/subject or proxy as soon as possible after visit/admission. Document the date the history was obtained so it can be determined whether this information was obtained prior to study enrollment or later. Recommend collection at least on date of TBI or at time of first medical treatment. Comorbidity prior to injury may influence the disease course and chances of recovery. Serious comorbidity or comorbidity that may influence the assessment of outcome are generally considered exclusion criteria in randomized clinical trials. It is therefore highly relevant to accurately record the significant relevant medical history. |
Review of Symptoms from Centers for Medicare and Medicaid Services | Adult;Pediatric | Supplemental | 1.10 | 2023-11-07 08:40:35.0 | Significant Medical History | General Health History | Participant History and Family History | 4000 |
Free-Form Entry |
2002895 | ||||||||
C00317 | Medical history condition start date and time | MedclHistCondStrtDateTime | Date (and time, if applicable and known) for the start of an event in the participant's medical history | Date (and time, if applicable and known) for the start of an event in the participant's medical history | Medical history condition start date and time | Date or Date & Time |
Record the date/time according to the ISO 8601, the International Standard for the representation of dates and times ( The date/time should be recorded to the level of granularity known (e.g., year, year and month, complete date plus hours and minutes, etc.). |
No references available | Adult;Pediatric | Supplemental | 3.10 | 2024-02-29 15:42:43.0 | Significant Medical History | General Health History | Participant History and Family History |
Free-Form Entry |
2543596 | |||||||||
C18745 | Perinatal neurologic event other text | PerinatlNeurolEventOTH | The free-text field related to 'Perinatal neurologic event type' specifying other text. Type of perinatal neurologic injury | The free-text field related to 'Perinatal neurologic event type' specifying other text. Type of perinatal neurologic injury | Other, specify | Alphanumeric |
Choose all that apply. Response is obtained from report by participant/subject or proxy. Document whether this information was obtained prior to study enrollment or later. Recommend collection as soon as possible after visit/admission. This element is recommended for pediatric studies.TBI as a result of the birth process is a common and well-described phenomenon. A recent study of 97 asymptomatic neonates found that 26% of those born vaginally had TBI identified on a 3T MRI performed an average of 21 days after birth. Unlike TBI due to other causes, the locations of the ICH associated with birth are almost exclusively posterior fossa/occipital lobes. Presenting symptoms due to birth-related TBI can range from none to severe and include apnea, bradycardia and/or seizures. |
Holden K, Titus M, Van_Tassel P (1999) Cranial magnetic resonance imaging examination of normal term neonates: a pilot study. J Child Neurol 145/9/2011708-710. Pollina J, Dias M, Li V, Kachurek D, Arbesman M (2001) Cranial birth injuries in term newborn infants. Pediatr Neurosurg 35:113-119. Looney C, Smith J, Merck L, Wolfe H, Chescheir N, Hamer R, Gilmore J (2007) Intracranial hemorrhage in asymptomatic neonates: prevalence on MR images and relationship to obstetric and neonatal risk factors. Radiology 242:535-541. Whitby E, Griffiths P, Rutter S, Smith M, Sprigg A, Ohadike P, Davies N, Rigby A, Paley M (Lancet) Frequency and natural history of subdural haemorrhages in babies and relation to obstetric factors. 2004 363:846-851. Towner D, Castro M, Eby-Wilkens E, Gilbert W (1999) Effect of mode of delivery in nulliparous women on neonatal intracranial injury. N Engl J Med 341:1709-1714. | Pediatric | Supplemental | 1.00 | 2014-05-27 13:34:46.0 | Significant Medical History | General Health History | Participant History and Family History | 4000 |
Free-Form Entry |
Data records that have nothing to do with the piece:
-- begin --
Record 1
Compound: PaAl2Pt2
Source: Alexandria via LeMat-Bulk
Functional: PBE-GGA
Structure: relaxed

a = 6.3661 Å, b = 6.3661 Å, c = 6.3661 Å
α = 142.82°, β = 142.82°, γ = 53.59°
Closest atoms and distances in Å follow each position.
Sites, in units of the cell vectors:
Pa: 0.0000 0.0000 0.0000  8 Pt 3.16, 8 Al 3.49
Al: 0.2500 0.7500 0.5000  4 Pt 2.53
Al: 0.7500 0.2500 0.5000  4 Pt 2.53
Pt: 0.3834 0.3834 0.0000  4 Al 2.53, 1 Pt 2.65
Pt: 0.6166 0.6166 0.0000  4 Al 2.53, 1 Pt 2.65

## Properties
For the calculated formation energy, the calculation gives -0.9460 eV per atom. As for the energy above the most stable polymorph in this dataset: 1.15 kJ/mol of atoms. Its calculated total energy is -6.76 eV per atom.

***

Record 2
Compound: MnPb3C
Source: Alexandria via LeMat-Bulk
Functional: PBE-GGA
Structure: relaxed

a = 5.0133 Å, b = 5.0133 Å, c = 5.0133 Å
α = 90.00°, β = 90.00°, γ = 90.00°
Closest atoms and distances in Å follow each position.
Sites, in units of the cell vectors:
Mn: 0.0000 0.0000 0.0000  12 Pb 3.54
Pb: 0.0000 0.5000 0.5000  2 C 2.51
Pb: 0.5000 0.0000 0.5000  2 C 2.51
Pb: 0.5000 0.5000 0.0000  2 C 2.51
C: 0.5000 0.5000 0.5000  6 Pb 2.51

## Properties
For the calculated formation energy, the calculation gives 1.2115 eV per atom. As for the energy above the most stable polymorph in this dataset: 0.00 kJ/mol of atoms. Its calculated total energy is -4.69 eV per atom.

***

Record 3
Compound: NaNpNiS4
Source: Alexandria via LeMat-Bulk
Functional: PBE-GGA
Structure: relaxed

a = 6.5468 Å, b = 5.4532 Å, c = 8.2312 Å
α = 90.00°, β = 106.54°, γ = 90.00°
Closest atoms and distances in Å follow each position.
Sites, in units of the cell vectors:
Na: 0.2224 0.2500 0.4410  6 S 2.87-3.14
Na: 0.7776 0.7500 0.5590  6 S 2.87-3.14
Np: 0.2356 0.2500 0.9397  6 S 2.57-2.86
Np: 0.7644 0.7500 0.0603  6 S 2.57-2.86
Ni: 0.2669 0.7500 0.1783  4 S 2.17-2.21
Ni: 0.7331 0.2500 0.8217  4 S 2.17-2.21
S: 0.0556 0.7500 0.3456  1 Ni 2.21
S: 0.0788 0.7500 0.9130  1 Ni 2.18
S: 0.4765 0.5175 0.7746  1 Ni 2.17
S: 0.4765 0.9825 0.7746  1 Ni 2.17
S: 0.5235 0.0175 0.2254  1 Ni 2.17
S: 0.5235 0.4825 0.2254  1 Ni 2.17
S: 0.9212 0.2500 0.0870  1 Ni 2.18
S: 0.9444 0.2500 0.6544  1 Ni 2.21

## Properties
For the raw formation energy, the calculation gives -0.877 eV/atom. Its calculated total energy is -6.10 eV per atom.

***

Record 4
Compound: SrPAu
Source: Alexandria via LeMat-Bulk
Functional: PBE-GGA
Structure: relaxed

a = 5.3544 Å, b = 5.3544 Å, c = 7.4531 Å
α = 96.82°, β = 96.82°, γ = 49.65°
Closest atoms and distances in Å follow each position.
Sites, in units of the cell vectors:
Sr: 0.0000 0.0000 0.0000  3 P 3.00-3.24, 1 Au 3.11
Sr: 0.2300 0.2300 0.6104  5 P 3.08-3.27, 1 Au 3.24
P: 0.6678 0.6678 0.8741  1 Au 2.41
P: 0.9223 0.9223 0.4443  3 Au 2.41
Au: 0.4908 0.4908 0.3796  2 P 2.41
Au: 0.7368 0.7368 0.1964  2 P 2.41

## Properties
For the calculated formation energy, the calculation gives -0.7758 eV per atom. Its calculated total energy is -4.23 eV per atom.

***
-- stop --
C00319 | Medical history condition ongoing indicator | MedclHistCondOngoingInd | Indicator of whether a medical condition/disease experienced by the participant is ongoing | Indicator of whether a medical condition/disease experienced by the participant is ongoing | Medical history condition ongoing indicator | Yes;No;Unknown | Yes;No;Unknown | Alphanumeric |
Choose one. |
No references available | Adult;Pediatric | Supplemental | 4.00 | 2024-02-29 15:42:44.0 | Significant Medical History | General Health History | Participant History and Family History |
Single Pre-Defined Value Selected |
2736881 | |||||||
C00321 | Medical history for body system indicator | MedclHistBodySysInd | Indicator of whether the participant/subject has a history of medical problems/conditions for the specific body system | Indicator of whether the participant/subject has a history of medical problems/conditions for the specific body syste | Does the participant/subject have a history of any medical problems/conditions in the following body systems? | Yes;No;Unknown | Yes;No;Unknown | Alphanumeric |
Choose one. Response is obtained by report of the participant/subject or proxy as soon as possible after visit/admission. Document the date the history was obtained so it can be determined whether this information was obtained prior to study enrollment or later. Recommend collection at least on date of TBI or at time of first medical treatment. Comorbidity prior to injury may influence the disease course and chances of recovery. Serious comorbidity or comorbidity that may influence the assessment of outcome are generally considered exclusion criteria in randomized clinical trials. It is therefore highly relevant to accurately record the significant relevant medical history. |
No references available | Adult;Pediatric | Supplemental | 3.00 | 2013-07-22 16:57:17.79 | Significant Medical History | General Health History | Participant History and Family History |
Single Pre-Defined Value Selected |
C00322 | Medical history condition text | MedclHistCondTxt | Verbatim text for the medical condition/disease reported by the participant/subject or documented in the medical record as part of medical history | Verbatim text for the medical condition/disease reported by the participant/subject or documented in the medical record as part of medical history | Verbatim text for the medical condition reported or documented in the medical record as part of medical history | Alphanumeric |
Recommend collection at least during initial medical treatment. This element is recommended for pediatric studies. |
SNOMED CT Codes ( | Adult;Pediatric | Core | 3.00 | 2013-07-25 08:54:08.2 | Significant Medical History | General Health History | Participant History and Family History | 4000 |
Free-Form Entry |
2003874 | ||||||||
C00323 | Head injury prior number | HeadInjPriorNum | Number of prior head injuries, if previous TBI history | Number of prior head injuries, if previous TBI history | Head injury prior number | Numeric Values |
Response is obtained from report by participant/subject or proxy. Document whether this information was obtained prior to study enrollment or later. Recommend collection as soon as possible after visit/admission. |
No references available | Adult;Pediatric | Supplemental | 3.00 | 2013-07-20 10:21:25.65 | Significant Medical History | General Health History | Participant History and Family History |
Free-Form Entry |
0 | 99 | ||||||||
C00324 | Concussion prior number | ConcussionPriorNum | Number of prior concussions | Number of prior concussions | Number of concussions prior to the current injury | Numeric Values |
Response is obtained from report by participant/subject or proxy. Document whether this information was obtained prior to study enrollment or later. Recommend collection as soon as possible after visit/admission. |
Michael McCrea, PhD, Thomas Hammeke, PhD, Gary Olsen, MS, Peter Leo, BS, and Kevin Guskiewicz, ATC, PhD. Unreported Concussion in High School Football Players. Clin J Sport Med Volume 14, Number 1, January 2004 | Adult;Pediatric | Supplemental | 3.00 | 2013-07-20 10:21:25.65 | Significant Medical History | General Health History | Participant History and Family History |
Free-Form Entry |
0 | 99 | ||||||||
C00325 | Blast prior exposure number | BlastPriorExposurNum | Number of blasts the participant has been exposed to prior to his or her current injury | Number of blasts the participant has been exposed to prior to his or her current injur | Blast prior exposure number | Numeric Values |
This element should be collected in studies including military populations. |
Holden K, Titus M, Van_Tassel P (1999) Cranial magnetic resonance imaging examination of normal term neonates: a pilot study. J Child Neurol 145/9/2011708-710. Pollina J, Dias M, Li V, Kachurek D, Arbesman M (2001) Cranial birth injuries in term newborn infants. Pediatr Neurosurg 35:113-119. Looney C, Smith J, Merck L, Wolfe H, Chescheir N, Hamer R, Gilmore J (2007) Intracranial hemorrhage in asymptomatic neonates: prevalence on MR images and relationship to obstetric and neonatal risk factors. Radiology 242:535-541. Whitby E, Griffiths P, Rutter S, Smith M, Sprigg A, Ohadike P, Davies N, Rigby A, Paley M (Lancet) Frequency and natural history of subdural haemorrhages in babies and relation to obstetric factors. 2004 363:846-851. Towner D, Castro M, Eby-Wilkens E, Gilbert W (1999) Effect of mode of delivery in nulliparous women on neonatal intracranial injury. N Engl J Med 341:1709-1714. | Adult;Pediatric | Supplemental | 3.00 | 2013-07-20 10:21:25.65 | Significant Medical History | General Health History | Participant History and Family History |
Free-Form Entry |
C00326 | Perinatal neurologic event type | PerinatlNeurolEventTyp | Type of perinatal neurologic injury | Type of perinatal neurologic injury | Perinatal neurologic event type | Subarachnoid hemorrhage;Intraparenchymal hemorrhage;Intraventricular hemorrhage;Hypoxia;Other, specify;None;Subdural hemorrhage | Subarachnoid hemorrhage;Intraparenchymal hemorrhage;Intraventricular hemorrhage;Hypoxia;Other, specify;None;Subdural hemorrhage | Alphanumeric |
Choose all that apply. Response is obtained from report by participant/subject or proxy. Document whether this information was obtained prior to study enrollment or later. Recommend collection as soon as possible after visit/admission. This element is recommended for pediatric studies.TBI as a result of the birth process is a common and well-described phenomenon. A recent study of 97 asymptomatic neonates found that 26% of those born vaginally had TBI identified on a 3T MRI performed an average of 21 days after birth. Unlike TBI due to other causes, the locations of the ICH associated with birth are almost exclusively posterior fossa/occipital lobes. Presenting symptoms due to birth-related TBI can range from none to severe and include apnea, bradycardia and/or seizures. |
Holden K, Titus M, Van_Tassel P (1999) Cranial magnetic resonance imaging examination of normal term neonates: a pilot study. J Child Neurol 145/9/2011708-710. Pollina J, Dias M, Li V, Kachurek D, Arbesman M (2001) Cranial birth injuries in term newborn infants. Pediatr Neurosurg 35:113-119. Looney C, Smith J, Merck L, Wolfe H, Chescheir N, Hamer R, Gilmore J (2007) Intracranial hemorrhage in asymptomatic neonates: prevalence on MR images and relationship to obstetric and neonatal risk factors. Radiology 242:535-541. Whitby E, Griffiths P, Rutter S, Smith M, Sprigg A, Ohadike P, Davies N, Rigby A, Paley M (Lancet) Frequency and natural history of subdural haemorrhages in babies and relation to obstetric factors. 2004 363:846-851. Towner D, Castro M, Eby-Wilkens E, Gilbert W (1999) Effect of mode of delivery in nulliparous women on neonatal intracranial injury. N Engl J Med 341:1709-1714. | Pediatric | Supplemental | 3.00 | 2013-07-19 21:21:51.533 | Significant Medical History | General Health History | Participant History and Family History |
Multiple Pre-Defined Values Selected |
C00312 | Body system category | BodySysCat | Category or grouping used in the comprehensive assessment of a participant/subject, which includes a subjective history taking component as well as an objective based structured interview and physical examination of all the body systems | Category or grouping used in the comprehensive assessment of a participant/subject, which includes a subjective history taking component as well as an objective based structured interview and physical examination of all the body system | Body system category | Allergic/Immunologic;Cardiovascular;Constitutional symptoms (e.g., fever, weight loss);Dermatological;Ears, Nose, Mouth, Throat;Endocrine;Eyes;Gastrointestinal;Gastrointestinal/Abdominal;Genitourinary;Gynecologic/Urologic/ Renal;Hematologic/Lymphatic;Hepatobiliary;Integumentary (skin and/or breast);Musculoskeletal;Musculoskeletal (separate from ALS exam);Neurological;Neurologic/CNS;Neurological (separate from ALS exam);Oncologic;Psychiatric;Pulmonary;Respiratory;Other, specify: | Allergic/Immunologic;Cardiovascular;Constitutional symptoms (e.g., fever, weight loss);Dermatological;Ears, Nose, Mouth, Throat;Endocrine;Eyes;Gastrointestinal;Gastrointestinal/Abdominal;Genitourinary;Gynecologic/Urologic/ Renal;Hematologic/Lymphatic;Hepatobiliary;Integumentary (skin and/or breast);Musculoskeletal;Musculoskeletal (separate from ALS exam);Neurological;Neurologic/CNS;Neurological (separate from ALS exam);Oncologic;Psychiatric;Pulmonary;Respiratory;Other, specify: | Alphanumeric |
Choose one. Response is obtained by report of the participant/subject or proxy as soon as possible after visit/admission. Document the date the history was obtained so it can be determined whether this information was obtained prior to study enrollment or later. Recommend collection at least on date of TBI or at time of first medical treatment. Comorbidity prior to injury may influence the disease course and chances of recovery. Serious comorbidity or comorbidity that may influence the assessment of outcome are generally considered exclusion criteria in randomized clinical trials. It is therefore highly relevant to accurately record the significant relevant medical history. |
Review of Symptoms from Centers for Medicare and Medicaid Services | Adult;Pediatric | Supplemental | 3.00 | 2013-07-25 08:54:08.2 | Significant Medical History | General Health History | Participant History and Family History |
Single Pre-Defined Value Selected |
== Data records, as found in the file ==
~~~
Entry 1:
Nb2HWN | GGA-PBE | optimized geometry

```
5
Lattice="4.511 0.000 0.000 0.000 3.105 0.000 0.000 0.000 4.511" Properties=species:S:1:pos:R:3 pbc="T T T"
Nb 2.255 0.000 0.000
Nb 0.000 0.000 2.255
H 0.000 1.553 0.000
W 2.255 1.553 2.255
N 0.000 0.000 0.000
```

Electronic total energy, eV/atom: -8.726

=====

Entry 2:
Tm4CoTe2S | GGA-PBE | optimized geometry

```
8
Lattice="-3.398 -2.035 -0.198 2.696 -3.985 -5.304 1.599 -3.289 6.334" Properties=species:S:1:pos:R:3 pbc="T T T"
Tm -0.693 -2.695 -0.121
Tm 1.590 -6.613 0.952
Tm 2.043 -3.762 3.576
Tm 2.251 -3.512 -2.546
Co -0.351 -3.010 -2.751
S 0.000 0.000 0.000
Te 2.147 -3.637 0.515
Te -0.900 -2.662 3.068
```

Electronic total energy, eV/atom: -5.560

=====

Entry 3:
LiSn2Pb | GGA-PBE | optimized geometry

```
8
Lattice="-8.356 -0.279 -0.797 0.583 -7.644 -3.429 -4.108 -5.214 0.641" Properties=species:S:1:pos:R:3 pbc="T T T"
Sn -5.968 -2.427 -0.747
Sn -1.916 -6.123 -2.103
Sn -5.981 -7.073 -1.190
Sn -9.897 -10.653 -3.132
Li -3.706 -8.410 -2.451
Li -3.887 -3.962 -2.113
Pb 0.000 0.000 0.000
Pb -8.175 -4.728 -1.135
```

ΔH_f (0 K), eV per atom: 0.021

=====

Entry 4:
Fe2BiB | GGA-PBE | optimized geometry

```
8
Lattice="-3.411 1.796 -2.563 0.375 -3.529 -2.972 -5.713 -4.104 0.547" Properties=species:S:1:pos:R:3 pbc="T T T"
B -1.518 -0.867 -2.768
B -3.428 -4.250 -2.596
Fe -5.351 -4.407 -2.238
Fe -2.857 -0.690 -1.343
Fe -7.014 -3.915 -3.861
Fe -2.277 -2.662 -2.535
Bi 0.000 0.000 0.000
Bi -5.321 -1.587 -2.392
```

Excess energy over the best structure of this formula in the dataset, eV/f.u.: 0.000
ΔH_f (0 K), eV per atom: 0.605

=====

Entry 5:
CaZn2SiRh2 | GGA-PBE | optimized geometry

```
6
Lattice="-1.962 -0.708 -3.935 -0.336 -4.338 0.949 -5.133 0.922 2.394" Properties=species:S:1:pos:R:3 pbc="T T T"
Si 0.000 0.000 0.000
Rh -0.168 -2.169 0.474
Rh -0.981 -0.354 -1.967
Zn -2.562 -2.270 -0.834
Zn -4.870 -1.855 0.242
Ca -2.567 0.461 1.197
```

Electronic total energy, eV/atom: -4.488

=====

Entry 6:
HoTmTl3 | GGA-PBE | optimized geometry

```
10
Lattice="6.327 0.000 0.000 0.000 7.381 -0.001 0.000 -3.689 6.392" Properties=species:S:1:pos:R:3 pbc="T T T"
Tl 1.582 2.201 1.272
Tl 1.582 3.690 3.849
Tl 4.746 1.490 5.120
Tl 1.582 5.178 1.271
Tl 4.746 0.001 2.542
Tl 4.746 -1.487 5.120
Tm 3.164 0.000 0.000
Tm 0.000 0.000 0.000
Ho 1.582 0.003 4.260
Ho 4.746 3.688 2.131
```

ΔH_f (0 K), eV per atom: 0.008

=====

Entry 7:
Pu5ZrSe6 | GGA-PBE | optimized geometry

```
12
Lattice="6.955 -0.112 -1.313 -3.761 5.852 -1.313 0.138 0.248 7.089" Properties=species:S:1:pos:R:3 pbc="T T T"
Se 0.882 1.584 4.695
Se 0.770 5.499 3.376
Se -0.935 2.436 1.089
Se 2.563 0.489 1.089
Se 2.451 4.404 -0.231
Se 4.268 3.552 3.376
Pu 5.218 1.017 2.232
Pu -1.886 4.971 2.232
Pu -0.181 3.860 -1.313
Pu 3.376 1.880 -1.313
Pu 1.666 2.994 2.232
Zr 0.000 0.000 0.000
```

Electronic total energy, eV/atom: -9.881

=====

Entry 8:
La5DyCd6 | GGA-PBE | optimized geometry

```
12
~~~
2002895 | |||||||
C00327 | Prior traumatic injury indicator | PriorTraumInjryInd | Indicator of prior traumatic injury found either historically, previous emergency department visits, radiographic findings, or signs or symptoms at time of presentation | Indicator of prior traumatic injury found either historically, previous emergency department visits, radiographic findings, or signs or symptoms at time of presentatio | Prior traumatic injury indicator | Yes;No;Unknown | Yes;No;Unknown | Alphanumeric |
Choose one. Document whether this information was obtained prior to study enrollment or later. Recommend collection as soon as possible after visit/admission from subject or proxy. This element is recommended for pediatric studies. |
No references available | Adult;Pediatric | Supplemental | 3.00 | 2013-07-19 21:21:51.533 | Significant Medical History | General Health History | Participant History and Family History |
Single Pre-Defined Value Selected |